A poem to begin…
Hello, my dearest reader,
Firstly, I must apologize for getting off my schedule just a bit. My personal goal is to have this little publication out each full moon, or thereabout, each month. Whelp, the last full moon came and went. No newsletter. Life dictated to me what my priorities needed to be. You see, I am a recovering perfectionist, so I surrendered. My surrender, however, doesn’t automatically mean my brain doesn’t stop with the negative self-talk. But, it does present the opportunity for me to reframe my thoughts. Ultimately, trusting I will follow through. Sometimes a little space is what is needed. A little care. Understanding things align in the manner in which they were meant to. Like shifting cycles, grace is a real thing.
So, in preparing to write this piece, I was doing my best to shift my thinking. Trusting also led me to look at where the moon was in the sky…as I write this, it is now the New Moon. The New Moon in Taurus to be exact. I took it as a sign. My little extra care time was well-needed.
Anyway, I decided to look back at my phone, in my photos, sort of zooming out to see what happened over this last month and a half. I like to document the good and the things that are challenging. So, I decided to make a list. Wow. Just wow. So many things were experienced!!!! So much fun! So many good times! But, also, there were many tough days that we got through. Care-taking for an ill loved one is no joke. Especially, when you're the mama to that sick loved one. We lived, enjoyed, struggled, and kept going together, as a family. What I saw and felt consistently, no matter what, was love.
**Between two parts of the text: molecular data:**
~~~
Entry 1:
A cluster of 13 separate species, C5H38N2O13 in total at a distorted geometry. Source: the OMol25 dataset; level of theory: ωB97M-V/def2-TZVPD.

Geometry (Å):
1 N -2.4632 -1.4420 -0.4300
2 C -1.7313 -0.2344 -0.9803
3 C -2.2762 0.0911 -2.3703
4 C -1.9871 1.5354 -2.8402
5 O -0.5840 1.7977 -2.8711
6 C -0.2399 -0.6500 -0.8212
7 N 0.6885 0.5125 -0.6966
8 C 2.1134 0.2461 -0.5787
9 H -3.4011 -1.0549 -0.4317
10 H -2.4658 -2.2101 -1.0960
11 H -2.0777 0.5058 -0.2545
12 H -1.8806 -0.5389 -3.1664
13 H -3.3495 -0.0514 -2.3283
14 H -2.1534 1.6443 -3.9141
15 H -2.6704 2.2318 -2.3472
16 H -0.1243 1.4694 -2.0866
17 H 0.0214 -0.9596 -1.8400
18 H -0.0511 -1.3580 -0.0168
19 H 0.3671 1.0819 0.1132
20 H 2.6403 1.0919 -1.0279
21 H 2.4204 0.0827 0.4658
22 H 2.3080 -0.7235 -1.0659
23 H -2.3447 -1.8375 1.5925
24 H -3.7739 -1.7256 2.0621
25 O -2.9007 -1.3639 2.2270
26 H 1.3715 3.9796 2.3198
27 H 0.0372 3.4682 2.7099
28 O 0.9345 3.5445 3.0635
29 H 3.3599 -0.6590 3.0086
30 H 3.7056 -2.0160 2.4984
31 O 3.6797 -1.0928 2.2206
32 H 2.0374 1.5373 2.2254
33 H 0.6319 1.4797 2.4550
34 O 1.3618 0.8496 2.3036
35 H 2.0855 1.2538 -3.3855
36 H 2.7856 -0.0641 -3.3065
37 O 2.7045 0.7202 -3.9024
38 H 0.5730 -2.1747 4.0889
39 H 0.6200 -0.8133 3.1942
40 O 0.2439 -1.6878 3.3405
41 H 2.1042 -1.6325 -2.4235
42 H 3.1151 -2.3694 -3.2898
43 O 3.0475 -1.6712 -2.6292
44 H -1.0065 -3.5079 1.3571
45 H -0.0134 -3.2353 2.5360
46 O -0.3430 -3.9309 1.9262
47 H -1.5651 -0.1561 3.0954
48 H -1.5617 -0.2027 4.5394
49 O -1.4857 0.4433 3.8286
50 H -0.3627 3.3417 -2.1585
51 H -1.1764 4.5067 -2.5399
52 O -0.6774 4.1965 -1.7648
53 H -1.9965 2.6265 0.4166
54 H -0.8708 3.2046 -0.3923
55 O -1.0440 2.7944 0.4864
56 H 1.0800 -3.4179 0.3524
57 H 1.3283 -4.1853 -0.8826
58 O 1.2122 -3.2708 -0.5885

Its energy relative to the best compared isomer or geometry (same formula, charge and spin) is 91.1 kcal per mole. The strongest force on any atom is 4.39 eV/Å. Its total charge is +1. For the HOMO energy (alpha / beta), the calculation gives -13.38 / -13.38 eV. The spin multiplicity is 2. Its gap between HOMO and LUMO (alpha / beta) is 0.396 / 0.201 Eh.

=====

Entry 2:
A cluster of 13 separate species, C5H38N3O12 in total at a distorted geometry. Source: the OMol25 dataset; level of theory: ωB97M-V/def2-TZVPD.

Geometry (Å):
1 C 3.6479 0.1969 1.2945
2 C 2.4868 -0.5264 2.0026
3 C 1.3000 0.3766 2.3767
4 C 0.4440 0.7418 1.1813
5 N -0.5333 -0.3069 0.9128
6 C -1.5564 -0.5710 1.7027
7 N -2.3092 -1.6790 1.4951
8 N -1.8625 0.1536 2.7540
9 H 3.4568 0.1890 0.2291
10 H 4.6079 -0.2532 1.5294
11 H 3.6992 1.2432 1.6070
12 H 2.8335 -1.1065 2.8556
13 H 2.2297 -1.3309 1.2988
14 H 0.8099 -0.0828 3.2226
15 H 1.8136 1.2331 2.8168
16 H 1.1187 0.8938 0.3369
17 H 0.0129 1.7420 1.1632
18 H -0.3843 -0.8690 0.0967
19 H -2.0513 -2.2652 0.7064
20 H -3.3023 -1.6106 1.4292
21 H -1.4881 1.0618 3.0248
22 H -2.7521 -0.0015 3.2012
23 H -1.9578 -4.2775 -1.2975
24 H -0.7463 -3.5305 -0.8438
25 O -1.7160 -3.4837 -0.8180
26 H -2.8194 -1.9529 -1.0161
~~~
Love holds the space for gratitude to flow. Knowing we’ve made it to—today, no matter, the trials is something.
We are abundant with every breath we take. With every step we take forward, we win. The more we do the uncomfortable thing, the more muscle memory we gain. The more confident we become. Never thought I would become as confident as I am driving my son to his hospital on the south-side of Chicago. But, I am. Our boy is nearing the beginning of the end phases, of his cancer treatment for leukemia. Been at this since last August. And we are still going. It was last year at this time, and his mystery pains began. In reflecting on this journey, what is a reoccurring theme, is attention. The attention I pay to my priorities, my son, his siblings, my husband and extended family, my attention on my faith, in others and in God. It has caused me to really contemplate what makes up my life and the way that I’m living.
Where does my attention go to? Where does my focus land?
A little story…as I was pushing my son out of the hospital yesterday, I was opening a door and sorta struggling to get his wheelchair through the doorway. When a gentleman stopped as he was driving by to ask if I needed any help…I said, “no, that’s ok, I’ve got it.” I heard it reverberate in my mind, over and over…I’ve got it…I’ve got it. And I felt it, I did have it. The confidence I felt. knowing I had it, helped me move through that hard moment. I just knew it. That man noticing, helped me. I felt less alone. We felt less alone. I felt my courage and the resolve to keep going rise up within me. For this, I am overwhelmingly grateful.
So, since it is the New Moon in Taurus…a time to set anew. A time to plant some seeds. We will be in this energy for a few days. So, I’m sharing a New Moon Journaling and Intention Setting Worksheet.
Get yourself comfortable. Sit in a receptive, contemplative state. It may be helpful to do some deep breathing, a little yoga, some EFT Tapping, take a walk, or just anything that makes you smile and relax. Enjoy!
The mantra that’s been making itself known to me is the Moola Mantra. I just happened to stumble upon it. And I have just kept on coming back to it. It has really been such a comfort. That’s the thing with Sanskrit. It’s the vibrational sound, that gets ya, without even knowing the meaning of the words, just pure magic!
So, Moola means base or root. Aum begins the first line, which means the original sound of creation. We’ve covered this syllable in a previous newsletter. Feel free to explore the archive.
Sat, pronounced Sut, means truth. An invitation to let go of misperceptions. Darkness becomes light.
Chit- We are not separate from everything in existence.
Ananda- bliss
Parabrahma- Supreme Being beyond time and space.
**These molecular data were left in the text by mistake:**
C21H37N3O7PtSSi as an isolated structure at a distorted geometry, computed with ωB97M-V/def2-TZVPD.

lowest unoccupied orbital energy	-2.49	eV
ΔE to the lowest compared entry with this formula, charge and spin	0.120	eV
max |F|	0.0486	hartree/bohr
gap between HOMO and LUMO	4.669	eV
HOMO level	-7.16	eV
M	698.77	g/mol

Positions of all 71 atoms, in Å:
Pt: 0.069 -0.153 0.157
N: -1.160 0.453 -1.399
C: -1.340 1.924 -1.292
C: -1.543 2.306 0.158
O: -2.300 3.190 0.490
N: -0.757 1.555 1.022
C: -1.067 1.593 2.339
C: -2.183 -0.054 2.736
O: -2.703 0.221 3.770
O: -2.001 -0.842 1.849
H: -2.050 -0.032 -1.385
H: -0.664 0.227 -2.255
H: -0.407 2.371 -1.639
H: -2.181 2.271 -1.886
H: -0.292 1.281 3.033
H: -1.717 2.392 2.671
S: 0.818 -2.287 -0.530
C: 1.511 -2.205 1.062
C: 2.193 -3.161 1.805
C: 2.637 -2.810 3.065
C: 2.439 -1.519 3.549
C: 1.752 -0.619 2.764
N: 1.271 -0.983 1.578
H: 2.349 -4.148 1.392
H: 3.162 -3.536 3.672
H: 2.812 -1.215 4.516
H: 1.567 0.401 3.078
C: 4.180 4.475 0.392
C: 3.062 3.467 0.160
C: 1.761 4.178 -0.200
C: 2.861 2.608 1.410
O: 3.462 2.675 -0.960
Si: 2.984 1.141 -1.337
O: 1.404 0.991 -1.163
O: 3.491 0.908 -2.881
C: 3.294 1.726 -4.039
C: 3.390 0.787 -5.235
C: 4.398 2.778 -4.101
C: 1.922 2.393 -4.004
O: 3.800 0.052 -0.409
C: 5.192 -0.306 -0.502
C: 6.066 0.896 -0.845
C: 5.336 -1.400 -1.555
C: 5.591 -0.837 0.865
H: 3.935 5.144 1.220
H: 4.334 5.072 -0.508
H: 5.111 3.955 0.624
H: 1.438 4.839 0.608
H: 0.980 3.434 -0.378
H: 1.896 4.772 -1.105
H: 2.599 3.238 2.263
H: 3.772 2.053 1.644
H: 2.047 1.898 1.241
H: 4.357 0.282 -5.232
H: 3.286 1.339 -6.172
H: 2.606 0.030 -5.181
H: 5.373 2.289 -4.155
H: 4.368 3.404 -3.209
H: 4.280 3.407 -4.986
H: 1.139 1.636 -3.924
H: 1.760 2.969 -4.918
H: 1.843 3.071 -3.151
H: 5.795 1.315 -1.814
H: 7.114 0.590 -0.880
H: 5.958 1.677 -0.090
H: 5.053 -1.014 -2.534
H: 4.677 -2.236 -1.308
H: 6.365 -1.764 -1.598
H: 5.401 -0.083 1.632
H: 6.652 -1.094 0.884
H: 5.014 -1.728 1.101
Purushotama- Supreme Soul incarnated into mankind
Paramatma- Supreme Being in all things, come into my heart
Sri Bhagavathi- Feminine aspect of Creation, supreme intelligence in action
Sri Bhagavathe-Masculine aspect of Creation, unchangeable and permanent
Namaha-total dedication of one’s self to God or to one of importance
Practicing this mantra helps us to see our awareness and understand our personal truth. It’s beautiful and calming to listen to. Clear a little time for yourself, close your eyes, and settle in. I made a playlist. Enjoy!
Coffee Talk: aka Real Talk
So, it’s been a very busy Spring. Dealing with all the things…keeping life running, while taking care of our son as he receives his treatments has been really hard. But, answers to questions I’ve asked to the great big mystery in the sky, have managed to make their way directly into my heart. A friend asked me for coffee a few weeks ago at her house. I said yes. I arrived and she has a cute little coffee bar in her kitchen. She directed me to choose my mug at random from her breakfront drawer. I received what was meant just for me.
Heart Happenings:
Check out my Etsy Shop!!
For more poetry and fun, find me on Instagram!
In closing, my dear reader, please know, things will get better. You are just right, right where you are. Take your time, go at your own pace. And trust, that you are right on time.
As always, what was YOUR favorite part of today? What are YOU feeling grateful for? Feel free to share any insights from listening to this beautiful Moola Mantra. Or anything else that you’d like in the comments! Thanks for reading!!!
**Next to the piece, the page also holds data records:**
=====
# 1
The following is a DFT calculation (ωB97M-V/def2-TZVPD) of C28H60N3O12P2S2 as an isolated structure in a non-equilibrium geometry.

XYZ file:
```
107
Properties=species:S:1:pos:R:3:forces:R:3
N 2.620 6.587 -0.864 0.231 0.035 -0.151
S 2.459 7.702 -2.106 -0.778 1.741 0.057
O 3.762 8.268 -2.320 0.457 -0.711 -0.084
O 1.497 8.656 -1.616 -0.533 -0.423 0.058
N 1.772 6.995 -3.382 0.918 -0.785 0.186
S 2.784 6.241 -4.388 0.728 0.936 -0.705
O 3.203 7.080 -5.491 -0.460 0.163 -0.204
O 3.926 5.608 -3.745 -0.549 -0.705 0.534
C 1.726 4.993 -5.138 -0.531 -1.041 0.901
C 2.138 3.531 -4.832 -0.583 0.494 -1.145
C 1.151 2.617 -5.626 0.171 0.053 0.629
C 0.261 1.750 -4.718 -0.034 0.133 -0.700
C -0.496 2.554 -3.653 -0.291 -0.221 0.686
C -0.477 1.891 -2.259 0.337 -0.492 -0.438
C 0.940 1.768 -1.671 -0.520 0.273 0.297
C 1.500 3.073 -1.056 0.240 -0.813 -0.987
C 3.029 3.188 -1.300 -0.201 0.085 0.510
C 3.893 2.895 -0.051 -0.148 0.376 -0.366
C 4.396 1.431 0.027 -0.148 0.864 0.451
C 5.949 1.317 0.090 -1.713 -0.467 -0.541
N 6.366 0.229 -0.781 0.704 0.113 0.225
C 7.100 0.355 -1.917 0.670 -0.187 -1.244
C 7.271 -0.879 -2.503 -0.474 -0.538 0.686
C 6.613 -1.824 -1.650 0.196 0.835 -0.183
C 6.078 -1.089 -0.613 -0.155 -1.097 0.111
H 1.888 5.891 -0.924 0.054 -0.050 0.017
H 3.541 6.170 -0.897 -0.055 -0.113 -0.187
H 0.718 5.113 -4.732 0.107 0.352 -0.036
H 1.639 5.098 -6.217 0.436 0.467 0.047
H 2.066 3.329 -3.766 0.290 0.021 -0.024
H 3.153 3.395 -5.202 0.074 -0.162 0.389
H 1.713 1.989 -6.323 -0.127 -0.033 0.012
H 0.490 3.254 -6.223 0.075 -0.084 -0.069
H -0.485 1.273 -5.366 0.090 -0.116 0.092
H 0.846 0.926 -4.299 0.012 0.172 0.176
H -0.135 3.580 -3.542 0.095 -0.069 -0.200
H -1.544 2.625 -3.962 0.065 0.195 0.009
H -1.165 2.403 -1.580 0.107 0.006 0.033
H -0.845 0.864 -2.394 -0.188 0.116 0.102
H 1.600 1.451 -2.480 0.024 -0.114 0.135
H 0.930 0.974 -0.917 0.170 -0.002 -0.083
H 0.992 3.897 -1.569 0.041 0.118 0.270
H 1.260 3.087 0.010 -0.008 0.296 -0.054
H 3.229 4.177 -1.709 0.231 -0.030 0.090
H 3.340 2.486 -2.079 -0.102 0.116 -0.065
H 3.304 3.159 0.832 0.139 -0.046 0.034
H 4.729 3.604 -0.071 0.097 -0.221 0.113
H 4.011 0.896 -0.842 0.173 -0.132 0.060
H 3.952 0.988 0.923 0.105 -0.298 -0.166
H 6.207 1.116 1.129 0.558 0.168 -0.138
H 6.353 2.248 -0.301 0.393 -0.120 0.208
H 7.510 1.262 -2.336 -0.354 0.326 0.524
H 7.783 -1.108 -3.423 0.056 0.181 0.024
H 6.551 -2.891 -1.790 -0.062 0.034 0.079
H 5.519 -1.478 0.226 -0.066 0.358 0.054
O 1.808 -5.301 2.446 -1.248 0.084 2.854
P 1.697 -3.825 2.537 2.466 2.200 -5.557
O 0.697 -3.379 1.334 0.047 -0.105 0.759
C -0.663 -3.800 1.365 -0.365 -0.070 -0.061
C -1.443 -3.160 2.499 0.112 -0.056 0.185
O 3.115 -3.324 1.919 -0.068 0.146 0.544
C 4.167 -4.240 1.620 0.025 -0.272 -0.142
C 4.056 -4.766 0.205 0.130 0.154 -0.211
O 1.582 -2.419 3.381 -0.866 -2.233 1.569
C 1.331 -2.449 4.796 -0.090 0.120 0.419
C 2.218 -3.428 5.538 0.102 -0.146 -0.154
H -0.712 -4.891 1.431 0.055 0.016 0.002
H -1.099 -3.509 0.410 0.161 0.054 -0.041
H -1.140 -3.585 3.462 -0.056 0.005 -0.010
=====
With Grace & Gratitude,
Mary Beth